Set down everything below character by character, please.

- - -
Record 1
Entry from OMol25: a molecular structure, H34O33S4Zn2 at a distorted geometry (wB97M-V/def2-TZVPD).

Structure (ORCA input):
```
! wB97M-V def2-TZVPD RIJCOSX def2/J DEFGRID3
* xyz -4 1
Zn -0.04 0.69 0.00
Zn 3.91 0.18 -2.86
S -2.82 -0.50 1.31
S 0.73 -0.99 -2.72
S 2.76 2.33 -0.62
S 2.29 0.30 4.07
O 2.19 -0.64 -2.74
O -0.43 -1.44 3.74
O -2.85 -1.56 2.36
O 2.38 -3.10 0.85
O -0.43 1.81 1.94
O 0.53 -2.40 -2.76
O 3.11 1.69 -1.85
O -3.15 0.77 1.95
O 3.54 1.74 0.45
O 0.62 4.72 -0.22
O 2.00 -0.98 3.41
O -1.65 1.83 -1.07
O 1.21 -0.52 0.99
O 4.47 -0.71 -0.99
O 1.73 3.78 4.00
O 2.88 1.23 3.10
O 1.34 2.07 -0.43
O -3.00 0.63 -3.06
O -1.48 -0.44 0.67
O -3.71 -2.37 -1.73
O 3.34 -0.14 5.02
O -1.83 -3.29 -3.57
O 0.13 2.26 -3.66
O -3.78 -0.84 0.29
O 1.73 -4.32 -1.61
O -1.94 4.59 -0.13
O 2.97 3.77 -0.65
O -0.95 -2.85 -0.40
O 0.00 -0.45 -3.88
O -0.96 -3.72 2.20
O 1.18 0.88 4.75
O -4.80 1.29 -0.95
O 0.16 -0.40 -1.53
H 0.86 3.79 -0.19
H -1.28 1.41 2.09
H 0.00 1.39 -3.27
H 1.54 -0.53 1.89
H 2.66 -3.95 1.20
H -0.32 2.42 2.66
H 3.19 -2.68 0.56
H 1.54 3.25 4.77
H -0.74 -0.79 4.36
H -1.75 -4.15 -3.14
H -2.26 4.12 0.64
H -0.34 4.72 -0.28
H -4.45 0.63 -0.35
H 0.40 -1.09 3.41
H -3.84 -1.88 -0.91
H -1.98 1.62 -1.95
H 1.45 -1.38 0.64
H -0.29 -2.67 -1.07
H -3.70 0.00 -3.24
H 4.93 -1.43 -0.56
H -4.13 1.36 -1.64
H -0.94 -3.42 1.29
H -1.05 -2.81 -3.29
H 2.13 3.17 3.38
H 0.68 2.72 -3.03
H 4.24 -0.12 -0.27
H 1.36 -3.60 -2.12
H -0.33 -4.45 2.21
H -2.73 4.98 -0.51
H 1.84 -3.97 -0.73
H -2.78 -2.59 -1.73
H -2.23 0.23 -3.47
H -1.23 -1.98 -0.09
H -1.84 2.76 -0.97
*
```

Summary:
HOMO-LUMO gap ... 1.8530 eV

Atom charges from the Mulliken analysis, given in e for atoms 1 to 8: number 1, Zn, carries 1.34; number 2, Zn, carries 0.54; number 3, S, carries 1.49; number 4, S, carries 1.01; number 5, S, carries 1.39; number 6, S, carries 1.12; number 7, O, carries 0.04; number 8, O, carries -0.61

=====

Record 2
Entry from OMol25: a single C5H7N3 molecule at a distorted geometry (wB97M-V/def2-TZVPD).

Structure (ORCA input):
```
! wB97M-V def2-TZVPD RIJCOSX def2/J DEFGRID3
* xyz 0 1
N -0.51 1.14 -0.25
N 2.15 0.95 0.08
N -1.15 -0.57 0.98
C 1.39 -1.22 -0.65
C -1.82 0.86 -0.53
C -0.13 0.29 0.72
C 1.18 -0.01 -0.11
C -2.27 -0.11 0.32
H 0.59 -1.89 -0.85
H -3.25 -0.51 0.48
H -1.08 -1.41 1.53
H 1.86 1.80 0.56
H 3.04 0.77 -0.36
H 2.40 -1.59 -0.75
H -2.40 1.49 -1.17
*
```

Summary:
SMILES ... C=C(N)c1ncc[nH]1
HOMO-LUMO gap ... 8.3229 eV
Energy relative to the best compared isomer or geometry (same formula, charge and spin) ... 3.257 eV

Atom charges from the Mulliken analysis, given in e for atoms 1 to 8: number 1, N, carries -0.36; number 2, N, carries -0.43; number 3, N, carries -0.06; number 4, C, carries -1.31; number 5, C, carries -0.39; number 6, C, carries -0.08; number 7, C, carries 0.80; number 8, C, carries -0.23

=====

Record 3
Entry from OMol25: a gas-phase ion, C4H4NO (charge -1) at a distorted geometry (wB97M-V/def2-TZVPD).

Structure (ORCA input):
```
! wB97M-V def2-TZVPD RIJCOSX def2/J DEFGRID3
* xyz -1 1
O 1.74 1.62 -0.79
N 0.87 1.19 0.06
C -0.72 -0.86 -1.39
C -0.08 -0.20 -0.35
C -1.55 -0.29 -0.21
C 1.07 -0.13 0.58
H 1.98 -0.67 0.28
H 0.82 -0.26 1.64
H -2.15 0.60 -0.35
H -1.97 -0.98 0.53
*
```

Summary:
HOMO-LUMO gap ... 7.5985 eV
Energy relative to the best compared isomer or geometry (same formula, charge and spin) ... 2.629 eV

Atom charges from the Mulliken analysis, given in e for atoms 1 to 8: number 1, O, carries -0.58; number 2, N, carries -0.10; number 3, C, carries -0.76; number 4, C, carries 0.28; number 5, C, carries -0.69; number 6, C, carries -0.04; number 7, H, carries 0.30; number 8, H, carries 0.22

=====

Record 4
Entry from OMol25: a single C6H12O molecule at a distorted geometry (wB97M-V/def2-TZVPD).

Structure (ORCA input):
```
! wB97M-V def2-TZVPD RIJCOSX def2/J DEFGRID3
* xyz 0 1
O 1.29 1.00 1.85
C 1.22 0.48 0.60
C 1.80 -0.71 0.30
C -1.15 0.96 0.02
C -0.97 -1.23 -1.17
C 0.34 1.29 -0.29
C -1.39 -0.54 0.12
H 2.45 -0.78 -0.56
- - -

Record 1
Entry from OMol25: a molecular structure, H34O33S4Zn2 at a distorted geometry (wB97M-V/def2-TZVPD).

Structure (ORCA input):
```
! wB97M-V def2-TZVPD RIJCOSX def2/J DEFGRID3
* xyz -4 1
Zn -0.04 0.69 0.00
Zn 3.91 0.18 -2.86
S -2.82 -0.50 1.31
S 0.73 -0.99 -2.72
S 2.76 2.33 -0.62
S 2.29 0.30 4.07
O 2.19 -0.64 -2.74
O -0.43 -1.44 3.74
O -2.85 -1.56 2.36
O 2.38 -3.10 0.85
O -0.43 1.81 1.94
O 0.53 -2.40 -2.76
O 3.11 1.69 -1.85
O -3.15 0.77 1.95
O 3.54 1.74 0.45
O 0.62 4.72 -0.22
O 2.00 -0.98 3.41
O -1.65 1.83 -1.07
O 1.21 -0.52 0.99
O 4.47 -0.71 -0.99
O 1.73 3.78 4.00
O 2.88 1.23 3.10
O 1.34 2.07 -0.43
O -3.00 0.63 -3.06
O -1.48 -0.44 0.67
O -3.71 -2.37 -1.73
O 3.34 -0.14 5.02
O -1.83 -3.29 -3.57
O 0.13 2.26 -3.66
O -3.78 -0.84 0.29
O 1.73 -4.32 -1.61
O -1.94 4.59 -0.13
O 2.97 3.77 -0.65
O -0.95 -2.85 -0.40
O 0.00 -0.45 -3.88
O -0.96 -3.72 2.20
O 1.18 0.88 4.75
O -4.80 1.29 -0.95
O 0.16 -0.40 -1.53
H 0.86 3.79 -0.19
H -1.28 1.41 2.09
H 0.00 1.39 -3.27
H 1.54 -0.53 1.89
H 2.66 -3.95 1.20
H -0.32 2.42 2.66
H 3.19 -2.68 0.56
H 1.54 3.25 4.77
H -0.74 -0.79 4.36
H -1.75 -4.15 -3.14
H -2.26 4.12 0.64
H -0.34 4.72 -0.28
H -4.45 0.63 -0.35
H 0.40 -1.09 3.41
H -3.84 -1.88 -0.91
H -1.98 1.62 -1.95
H 1.45 -1.38 0.64
H -0.29 -2.67 -1.07
H -3.70 0.00 -3.24
H 4.93 -1.43 -0.56
H -4.13 1.36 -1.64
H -0.94 -3.42 1.29
H -1.05 -2.81 -3.29
H 2.13 3.17 3.38
H 0.68 2.72 -3.03
H 4.24 -0.12 -0.27
H 1.36 -3.60 -2.12
H -0.33 -4.45 2.21
H -2.73 4.98 -0.51
H 1.84 -3.97 -0.73
H -2.78 -2.59 -1.73
H -2.23 0.23 -3.47
H -1.23 -1.98 -0.09
H -1.84 2.76 -0.97
*
```

Summary:
HOMO-LUMO gap ... 1.8530 eV

Atom charges from the Mulliken analysis, given in e for atoms 1 to 8: number 1, Zn, carries 1.34; number 2, Zn, carries 0.54; number 3, S, carries 1.49; number 4, S, carries 1.01; number 5, S, carries 1.39; number 6, S, carries 1.12; number 7, O, carries 0.04; number 8, O, carries -0.61

=====

Record 2
Entry from OMol25: a single C5H7N3 molecule at a distorted geometry (wB97M-V/def2-TZVPD).

Structure (ORCA input):
```
! wB97M-V def2-TZVPD RIJCOSX def2/J DEFGRID3
* xyz 0 1
N -0.51 1.14 -0.25
N 2.15 0.95 0.08
N -1.15 -0.57 0.98
C 1.39 -1.22 -0.65
C -1.82 0.86 -0.53
C -0.13 0.29 0.72
C 1.18 -0.01 -0.11
C -2.27 -0.11 0.32
H 0.59 -1.89 -0.85
H -3.25 -0.51 0.48
H -1.08 -1.41 1.53
H 1.86 1.80 0.56
H 3.04 0.77 -0.36
H 2.40 -1.59 -0.75
H -2.40 1.49 -1.17
*
```

Summary:
SMILES ... C=C(N)c1ncc[nH]1
HOMO-LUMO gap ... 8.3229 eV
Energy relative to the best compared isomer or geometry (same formula, charge and spin) ... 3.257 eV

Atom charges from the Mulliken analysis, given in e for atoms 1 to 8: number 1, N, carries -0.36; number 2, N, carries -0.43; number 3, N, carries -0.06; number 4, C, carries -1.31; number 5, C, carries -0.39; number 6, C, carries -0.08; number 7, C, carries 0.80; number 8, C, carries -0.23

=====

Record 3
Entry from OMol25: a gas-phase ion, C4H4NO (charge -1) at a distorted geometry (wB97M-V/def2-TZVPD).

Structure (ORCA input):
```
! wB97M-V def2-TZVPD RIJCOSX def2/J DEFGRID3
* xyz -1 1
O 1.74 1.62 -0.79
N 0.87 1.19 0.06
C -0.72 -0.86 -1.39
C -0.08 -0.20 -0.35
C -1.55 -0.29 -0.21
C 1.07 -0.13 0.58
H 1.98 -0.67 0.28
H 0.82 -0.26 1.64
H -2.15 0.60 -0.35
H -1.97 -0.98 0.53
*
```

Summary:
HOMO-LUMO gap ... 7.5985 eV
Energy relative to the best compared isomer or geometry (same formula, charge and spin) ... 2.629 eV

Atom charges from the Mulliken analysis, given in e for atoms 1 to 8: number 1, O, carries -0.58; number 2, N, carries -0.10; number 3, C, carries -0.76; number 4, C, carries 0.28; number 5, C, carries -0.69; number 6, C, carries -0.04; number 7, H, carries 0.30; number 8, H, carries 0.22

=====

Record 4
Entry from OMol25: a single C6H12O molecule at a distorted geometry (wB97M-V/def2-TZVPD).

Structure (ORCA input):
```
! wB97M-V def2-TZVPD RIJCOSX def2/J DEFGRID3
* xyz 0 1
O 1.29 1.00 1.85
C 1.22 0.48 0.60
C 1.80 -0.71 0.30
C -1.15 0.96 0.02
C -0.97 -1.23 -1.17
C 0.34 1.29 -0.29
C -1.39 -0.54 0.12
H 2.45 -0.78 -0.56